Creating Boards That Lead

The board must play a meaningful and critical role in cooperative affairs. I hope this article will help clarify what the board should be doing, how the board can organize its work and what unique products the board contributes to your cooperative's success. This information is derived from the work of John Carver. If it interests you, I suggest you read Carver's book on policy governance, Boards That Make a Difference, Jossey Bass (1990).

Listen up! We've got a problem here

Recently a prominent cooperative manager called to talk about her board of directors. "Our boards are destroying our cooperatives," she said. "They are keeping us from being competitive." How could this be? I've worked with and trained hundreds of directors. Overall, they are capable, well-intentioned, well-educated men and women.

On the other hand, listen to directors: "We don't seem to be getting anything done at our meetings." "Our manager is doing a great job; there isn't much left for us to do anymore." "I'm on the board; does that mean I have to know everything about the co-op?" "I get the feeling I haven't mastered the financials as well as I should."

These comments and many others like them have convinced me that many directors and managers are uneasy with the role of directors as it is being played in many cooperatives.

This problem of "poor" board performance is not unique to cooperatives. Few Americans would rush forward to defend the Congress, state legislatures, or even school boards as models of "good governance." It is equally difficult to find good governance in the corporate world. In fact, only when prodded by large stockholders and shareholder legal action have boards of many investor-owned corporations questioned the quality of their performance.

What does this mean for cooperative boards? Are they tedious and anachronistic? Or do they play a unique role in the organization?

Boards need to focus on producing results in the four activities that are theirs alone:

  • linkage to the members;
  • creation of policies that are logically consistent and encompass the values and perspectives of the organization;
  • assurance of performance; and
  • perpetuation of the organization.

Begin at the beginning

It is not possible to understand the role of a board without clearly understanding the concept of governance. To govern is to make decisions on behalf of others which provide benefits for the group as a whole. By law and through members' expectations the board is given responsibility to generate four specific products, explained below. When the board produces these products it will successfully achieve its sole purpose: to use and protect the resources members have entrusted to it in order to improve their lives. The job of a cooperative director is to make decisions which benefit the co-op members.

Members recognize it is impractical for everyone to participate in all the decisions necessary to run their business, so they elect a board of directors and confer upon them the authority to make decisions. Because the board needs money, people, equipment and other resources to carry out decisions, members entrust these to the directors, assuming resources will be used effectively and efficiently.

In return for authority granted, the board is accountable for all cooperative activities. Board members must be able to describe what decisions have been made, how member resources have been used and what results were achieved. This is far different than being responsible for the activities. Governors are not expected to perform the activities that meet the needs of the members, they are expected to be accountable for them.

In the context of decision making, the board becomes a single unit: it exercises authority and it decides. Although the board is composed of individuals, they must be able to make a single decision that is the board's statement on an issue. Board members hold authority only when they are acting as a board. Outside the board meeting, directors have no more authority than any other member-owner of the cooperative. As a result, even though the board is often composed of strong individual members with strong and possibly differing opinions, the board's decisions are made in hoard meetings and expressed with a single voice.

What results should members expect?

There are four unique results or products of the board's work. The board's first product is providing ties or linkage to the member owners. This means deciding who the organization serves and might serve in the future, finding out what they want or need from the cooperative, and setting up ways for the board to report to the members on its success at meeting members' needs.

Earlier we said the board's decisions must be expressed with a single voice. Decisions that the board has reached and is willing to express with a single voice are the board's policies, the second product ofthe board's work. Policies are board decisions that give direction to cooperative activities.

Unfortunately, decisions, however wise and well crafted, do not assure that action will follow. Often policies are buried in board minutes; directors and staff have difficulty remembering exactly what they are and can't say for certain if the policy is being followed. This leads to the third responsibility of the board: to make sure decisions are being carried out, or assurance of performance. This means setting up a monitoring system that establishes a schedule and procedure for reviewing each policy decision. Only by enacting effective monitoring procedures can the board be accountable to the membership.

Directors are responsible for the security of the members' resources. Carrying out this responsibility is the fourth result ofthe board's work: assurance of perpetuity or the continuing life of the cooperative. This includes the board's responsibility for the security offinancial resources, for the continuity of competent management, and for its own continuity (i.e., assuring that good board candidates are available and that comprehensive policies are in place).

## Records of crystals, as found in the file
'''
Entry 1:
This entry pairs a crystal structure of Hf3Sc2Ni4 with its theoretical powder diffraction line list. Radiation: CuKα. Structure: a PBE-relaxed structure.

Crystal structure
a = 7.809 Å, b = 6.544 Å, c = 6.515 Å
α = 90.00°, β = 109.68°, γ = 90.00°
Positions (direct):
Hf 0.000 0.000 0.000
Hf 0.000 0.500 0.500
Hf 0.266 0.174 0.778
Hf 0.266 0.326 0.278
Hf 0.734 0.674 0.722
Hf 0.734 0.826 0.222
Sc 0.311 0.682 0.937
Sc 0.311 0.818 0.437
Sc 0.689 0.182 0.563
Sc 0.689 0.318 0.063
Ni 0.001 0.628 0.128
Ni 0.001 0.872 0.628
Ni 0.434 0.032 0.161
Ni 0.434 0.468 0.661
Ni 0.566 0.532 0.339
Ni 0.566 0.968 0.839
Ni 0.999 0.128 0.372
Ni 0.999 0.372 0.872

Main lines, low angle first (10 to 80 degrees two-theta):
d (Å)	I (rel.)	index
4.888	100.0	1 1 0
4.476	41.7	0 1 1
2.882	49.4	2 0 -2
2.469	73.8	2 2 -1
2.444	72.6	2 2 0
2.370	61.6	1 1 2
2.057	71.5	1 1 -3
2.040	63.3	1 3 -1

***

Entry 2:
This entry pairs a crystal structure of HfSO6 with its theoretical powder diffraction line list. Radiation: CuKα. Structure: a PBE-relaxed structure.

Crystal structure
a = 11.452 Å, b = 5.646 Å, c = 6.875 Å
α = 90.00°, β = 90.00°, γ = 90.00°
Positions (direct):
Hf 0.069 0.250 0.165
Hf 0.431 0.750 0.665
Hf 0.569 0.250 0.335
Hf 0.931 0.750 0.835
S 0.145 0.750 0.456
S 0.355 0.250 0.956
S 0.645 0.750 0.044
S 0.855 0.250 0.544
O 0.041 0.750 0.581
O 0.054 0.000 0.935
O 0.054 0.500 0.935
O 0.146 0.536 0.332
O 0.146 0.964 0.332
O 0.249 0.250 0.078
O 0.251 0.750 0.578
O 0.354 0.036 0.832
O 0.354 0.464 0.832
O 0.446 0.000 0.435
O 0.446 0.500 0.435
O 0.459 0.250 0.081
O 0.541 0.750 0.919
O 0.554 0.000 0.565
O 0.554 0.500 0.565
O 0.646 0.536 0.168
O 0.646 0.964 0.168
O 0.749 0.250 0.422
O 0.751 0.750 0.922
O 0.854 0.036 0.668
O 0.854 0.464 0.668
O 0.946 0.000 0.065
O 0.946 0.500 0.065
O 0.959 0.250 0.419

Main lines, low angle first (10 to 80 degrees two-theta):
d (Å)	I (rel.)	index
5.895	36.0	1 0 1
5.726	59.4	2 0 0
4.400	90.6	2 0 1
4.363	100.0	0 1 1
4.077	58.0	1 1 1
3.471	50.3	2 1 1
2.844	58.2	1 1 2
2.554	47.6	4 1 0


For Mg8Ga3Hg3, the PBE geometry in Alexandria gives the calculated powder XRD pattern in this record (Cu Kα, 1.54184 Å).

Top 6 peaks for 10° ≤ 2θ ≤ 90°, by intensity:
index, 2θ (°), d (Å), I/Imax
0 1 0, 12.5, 7.104, 100
0 1 -2, 29.5, 3.024, 33
0 0 2, 26.3, 3.390, 27
2 2 1, 36.8, 2.444, 24
0 2 -2, 37.2, 2.416, 19
0 1 2, 28.8, 3.097, 19

Crystal structure
```
data_Mg8Ga3Hg3
_chemical_formula_sum 'Mg8 Ga3 Hg3'
_space_group_name_H-M_alt 'P -1'
_space_group_IT_number 2
_space_group_name_Hall '-P 1'
_cell_length_a 6.6347
_cell_length_b 7.1083
_cell_length_c 7.4210
_cell_angle_alpha 88.02
_cell_angle_beta 66.08
_cell_angle_gamma 89.08
loop_
_atom_site_label
_atom_site_type_symbol
_atom_site_fract_x
_atom_site_fract_y
_atom_site_fract_z
Mg1 Mg 0.0582 0.3388 0.3246
Mg2 Mg 0.1729 0.7632 0.2302
Mg3 Mg 0.3479 0.3478 0.6781
Mg4 Mg 0.3820 0.7709 0.7632
Ga1 Ga 0.3690 0.1350 0.0058
Ga2 Ga 0.5000 0.5000 0.0000
Hg1 Hg 0.0000 0.0000 0.0000
Hg2 Hg 0.2429 0.0092 0.5022
```
'''

To review, results members have a right to expect from directors and directors have responsibility to produce are:

  • linkage to the member owners;
  • comprehensive policies;
  • assurance of performance; a
  • perpetuation of the cooperative.

Boards that produce these are functioning well. Other boards have additional work to do.

Debate, decide and direct: making policy

A policy is a written statement of the values and expectations which guide current and future decisions. In general, the board uses policies to describe what it wants done or what it does not want to happen rather than describing how something will be done or how it will be prevented. If the board understands how to make policies and what kinds of policies should be in place, it will have made major progress toward achieving the results members expect.

The key to developing policies is to start with the largest issue in each category before considering smaller issues. For example, when the board is developing the boundaries of acceptable activity, it might say management "will not conduct any activity which is illegal, unethical or imprudent." This clearly states the board's values about acceptable activity. However, most boards want to give additional and more specific guidance to management. The idea is to work in sequence, one policy level at a time, with each policy being a more specific statement than the policy that preceded it. The board stops making policies when it can accept any interpretation of the most specific policy. At that point, all further decisions are delegated to management. Ultimately, it should be impossible for an issue not to be covered by board policy at some level. The board's goal is to produce a fabric of policies that effectively blankets all possibilities.

........
Calculated X-ray diffraction stick pattern of K3Rb3DyBr8 for Cu Kα, 1.54184 Å, from a DFT-relaxed cell (PBE, Alexandria).

The 6 most intense peaks (2θ = 5–70°), most intense first:
2theta, d/Å, I_rel
26.0, 3.425, 100
11.2, 7.876, 52
37.4, 2.406, 35
36.9, 2.438, 32
46.1, 1.969, 16
34.0, 2.635, 13

Structure:
abc: 9.753 9.753 9.753
angles: 59.13 59.13 59.13
Fractional positions:
K  0.000  0.500  0.500
K  0.500  0.000  0.500
K  0.500  0.500  0.000
Rb  0.000  0.000  0.500
Rb  0.000  0.500  0.000
Rb  0.500  0.000  0.000
Dy  0.000  0.000  0.000
Br  0.211  0.211  0.781
Br  0.211  0.781  0.211
Br  0.219  0.789  0.789
Br  0.254  0.254  0.254
Br  0.746  0.746  0.746
Br  0.781  0.211  0.211
Br  0.789  0.219  0.789
Br  0.789  0.789  0.219

=====

For Ba2V3P6HO22, a PBE+U-relaxed structure gives the computed PXRD pattern in this record (CuKα).
Peak positions follow from Bragg's law for the DFT cell and can differ from measured ones.

Atomic structure:
Unit cell a=4.9313 b=8.0952 c=11.4654 alpha=88.99 beta=88.61 gamma=87.06
Space group P-1 (No. 2)
Symmetry-distinct sites (fractional):
Ba  0.2336  0.0070  0.1758
V  0.2193  0.4934  0.2031
V  0.5000  0.0000  0.5000
P  0.0343  0.7560  0.4265
P  0.2664  0.6999  0.6585
P  0.3138  0.2946  0.9472
H  0.0000  0.5000  0.0000
O  0.0101  0.6960  0.7390
O  0.0399  0.6528  0.3179
O  0.0842  0.4305  0.9138
O  0.1800  0.6488  0.5295
O  0.2079  0.9084  0.4038
O  0.2282  0.1168  0.9278
O  0.2543  0.1973  0.5324
O  0.3611  0.8787  0.6540
O  0.3621  0.3188  0.0788
O  0.4269  0.6795  0.1282
O  0.4859  0.5707  0.6903

Most intense lines, 2θ from 10° to 90°, by intensity:
- 2θ 29.14, I = 100, (1 2 -1)
- 2θ 23.06, I = 84, (-1 1 1)
- 2θ 30.35, I = 73, (-1 2 1)
- 2θ 25.96, I = 68, (0 1 -3)
- 2θ 23.54, I = 61, (1 0 2)
- 2θ 19.46, I = 55, (1 0 1)

=====

This entry pairs a crystal structure of CrPt with its computed X-ray powder pattern. Radiation: Cu Kα (λ = 1.5418 Å). Structure: the PBE geometry in the Materials Project.
No peak broadening, texture or thermal motion is included.

Most intense lines, 10° ≤ 2θ ≤ 90°, sorted by position:
2θ (°)  Rel. int.
20.4  60
39.1  36
40.9  100
41.5  32
47.8  64
52.4  16
69.5  20
70.2  20
73.3  13
84.3  25

```
2
Lattice="1.3529 0.7811 4.3558 -1.3529 0.7811 4.3558 0.0000 -1.5622 4.3558" Properties=species:S:1:pos:R:3 pbc="T T T"
Cr 0.0000 0.0000 0.0000
Pt 0.0000 0.0000 6.5337
```

***

This entry pairs a crystal structure of CrSbPt with its computed X-ray powder pattern. Radiation: Cu Kα (λ = 1.5418 Å). Structure: the PBE geometry in the Materials Project.
No peak broadening, texture or thermal motion is included.

Most intense lines, 10° ≤ 2θ ≤ 90°, sorted by position:
2θ (°)  Rel. int.
19.5  61
31.1  100
34.2  36
39.7  39
46.9  75
51.3  21
53.4  22
66.8  19
77.2  24
80.6  20

```
12
Lattice="6.4219 0.0000 0.0000 0.0000 6.4219 0.0000 0.0000 0.0000 6.4219" Properties=species:S:1:pos:R:3 pbc="T T T"
Cr 0.0548 0.0548 0.0548
Cr 3.1561 6.3671 3.2657
Cr 3.2657 3.1561 6.3671
Cr 6.3671 3.2657 3.1561
........

Boards are critically dependent on two people for leadership: the manager and the board chair. When all is said and done, all board decisions are directions for one or the other and, through them, to the board and staff.

Policies directed to the manager cover two broad policy areas: those that describe results the board expects and those that describe activities which are not acceptable to the board. The board says to management, "Here's what we want you to accomplish and here's what we don't want you to do unless you check with us first."

Policies that give guidance to the board chair include those that describe the relationship between the board and the general manager and those that describe how the board will do its work.

In sum, virtually all of the board's decisions are made in one of four areas:

  • results (ends);
  • boundaries (means);
  • board management relations;
  • board process.

What we want: results policies

The board is responsible for determining and refining why the organization exists, what it does that is worthwhile. Before considering what is worthwhile, the board must consider whose needs will be met. Then the board determines which member needs will be met. For example, cooperatives can exist to increase the income of their members, to make goods available at a fair price, or to build an economically self-sufficient community. The board must also determine what constitutes satisfaction. How will we know when we are successful? These questions relating to "why we are here" should be the board's primary business. It is the board's obligation to provide management with a very clear message regarding what ends should be achieved and what results are expected.

Results policies clearly define specific results that are expected. They clarify what impact the cooperative will have on its community or what difference it makes that the cooperative exists. It is in establishing these policies that the board determines the long term direction of the cooperative, determines the organization s mission and provides visionary leadership. Clearly, the board will rely heavily on management to provide information and insight on which to base their decisions regarding desired results; but the responsibility to debate the issues, make a decision, and direct the manager is solely the board's.

Not unless you ask us first: boundaries

The board is not only concerned about what should be accomplished; it is also concerned with how results are achieved. Since the board is responsible and accountable for all of the activities of the cooperative, it must have control over the complexity and the details of operations without being consumed by them. The challenge to the board is to be reasonably sure that nothing goes wrong, while giving management as much room as possible to get the job done.

The concept of boundary policies goes to the heart of board members' legal and fiduciary responsibilities. Because there are significant penalties to the board as a whole and to individual board members in some cases, board members are entirely justified in their desire that all activities of the cooperative be legal and prudent.

By setting limits on activities, the board makes clear statements about what is unacceptable activity, what activities are "out of bounds." Management may not do these things, even if they meet board-determined ends, without prior board approval. The most important concern for any board should be that all activities are legal, ethical and prudent. The board may, however, want to be more precise and define more specific boundaries in major areas of concern. These might include treatment and compensation of employees, protection of assets, financial condition, financial planning and management succession.

Boundary policies are statements about what the cooperative will not do. They are explicit statements about what practices, methods or activities are either unacceptable or need board approval prior to taking action.

Boards need to focus on producing results in the four activities that are theirs alone:

  • linkage to the members
  • creation of policies that are logically consistent and encompass the values and perspectives of the organization
  • assurance of performance
  • perpetuation of the organization

Conducting our business: board process

The final group of policies gives direction to the board itself. They identify how the board gets its work done and assures that these methods will continue even though individual members will rotate on and off the board. These are the board's statements which describe its governance process, that is, how the board operates in order to act on behalf of the members. Board process policies include: how the board identifies member needs, represents the members and protects the interests of all stakeholders; how the board conducts its own business, its structure, the number of meetings, the use of policies, use of committees and board compensation; and how the board ensures its own continuity through director selection procedures, board self-evaluation and board training and development.

Assuring performance

One of the most difficult tasks of any board member is deciding how and when he or she should be satisfied that "things are OK in the business." Boards can get completely caught up in the morass of micro-management solely out of concern that something might be going wrong. Conscientious board members soon learn the impossibility of outmanaging management.

When policies are complete, they should address everything that might bring concern to the board. However, a policy has little meaning unless it is also absolutely clear how and when the board will determine whether the policy is being followed.

Suppose the board has a policy that "management will provide for a fair and thorough review of any grievance by means of a known, unbiased procedure with decision authority clearly designated." Although the board has made a decision and declared its values regarding grievance policies, to determine whether the policy is being followed they might want a periodic report from management. That report should state the policy and summarize how many grievances had been filed, their disposition and the person who had ultimate decision authority. The policy is complete when the board has defined what kind of a report it wants on the policy, from whom, and what specific information should be provided.

Information the board uses to evaluate performance is, obviously, retrospective; it reports on what has been accomplished. It isjudgmental; it is clearly designed to determine the adequacy of performance. It should also be targeted; that is, it should answer specific questions regarding specific performance criteria as determined by the policies. It should also be predictable for management. If the board has unstated expectations for performance, it should not try to judge the adequacy of performance after the fact.

The board should decide how important and how potentially damaging a violation of policy might be and determine the monitoring of that policy accordingly. For example, if a cooperative is in a turnaround situation where cash flow and use of credit might have severe financial consequences, it may want to monitor its financial condition policies monthly. If the finances of an organization are both stable and predictable, such monitoring might only be quarterly.

In general, the board has three sources of monitoring information: internal reports from management or staff; external reports generated by people from outside the organization; and direct inspection reports generated by the board or board members who look into a matter themselves.

Internal reports carry no additional expense to the board and are the most common source of information. However, they may be open to internal manipulation. External reports are usually conducted by paid professionals and viewed as "objectively prepared by disinterested parties." The most common external report is an audit prepared by a certified accountant. In some cases, the board must collect information by an on-site examination. In these cases, the inspection should be directly tied to the policy being evaluated and its monitoring procedure. The board members involved in direct inspection must limit themselves to an evaluation of whether the policy under evaluation has been successfully implemented. Most boards routinely use a combination of all three sources of information to monitor organizational activities.

We can take charge

Boards may be putting our cooperatives at risk if they are so concerned that things went wrong in the past or might go wrong in the present that they are unable to focus. Out of the best intentions, board members may lose track of their unique job while struggling to become supermanagers. To stay organized and focused, the board needs to work on the future direction of the cooperative, providing the essential leadership that member owners expect.

What can be done to get our boards back on track?

Managers and directors need to realize there is a problem and that behavior on both sides of the organization has to change if it is to be solved.

Boards need to dedicate themselves to achieving their sole purpose: to use and protect the resources members have entrusted to them in order to improve the overall quality of life for all members.

Boards need to understand governance and the flow of authority and accountability between them, the members, and management.

Boards need to focus on producing results in the four activities that are theirs alone:

  • linkage to the members;
  • creation of policies that are logically consistent and encompass the values and perspectives of the organization;
  • assurance of performance; and
  • perpetuation of the organization.

At a minimum, policies should be in place which define the results desired; set the boundaries for acceptable organizational activities; establish the board-management relationship; and articulate the board's process.

In this way, the board becomes a strong partner with management in assuring success of the cooperative. This happens because the board is conducting itself in a way which emphasizes strategic leadership that prepares for the future, assures board accountability and is more proactive than reactive. On such a board, individual board members can take honest satisfaction in providing important and distinguished service to their neighbors and their community.